Knox County Criminal Docket closed cases
ROCKLAND — The following cases were closed in Knox County Unified Court from Aug. 5- Sept. 4.
Brandon Edward Amborn, 28, of Warren, criminal trespass in Rockport Sept. 9, 2023, $200 fine; violating condition of release in Rockport Sept. 9, 2023, $200 fine.
Jennifer A. Aronson, 54, of Jefferson, failing to notify of motor vehicle accident in Washington June 6, 2024, $150 fine.
Patrick R. Aylward, 39, of Searsmont, domestic violence assault and criminal mischief both in Rockport Dec. 17, 2023, both dismissed; disorderly conduct, offensive words, gestures in Rockport Dec. 17, 2023, seven days in jail; violating condition of release in Camden Jan. 18, 2024, seven days in jail.
Michael W. Bailey, 40, of Camden, criminal mischief in Camden July 3, 2024, $150 fine; domestic violence assault in Camden July 3, 2024, $300 fine.
Michael Baudanza, 66, of Thomaston, violation of gear rule, Chapter 75, in Rockland May 22, 2024, $250 fine.
Shaun Borden, 46, of Rockport, operating while license suspended or revoked in Warren Jan. 11, 2023, $500 fine.
Wyatt Bowman, 33, of Friendship, wash, hold, or keep shellfish in a closed area in Friendship Feb. 11, 2024, $300 fine.
Luis A. Guaman Caisaguano, 37, of Framingham, Mass., fishing without a valid license in Union May 30, 2024, $100 fine.
Andrea Calandri, 33, of Rockland, operating under the influence (alcohol), in Rockport Sept. 30, 2023, dismissed; driving to endanger in Rockport Sept. 30, 2023, $575 fine, license suspended 30 days.
Daniel Carter, 35, of Rockland, domestic violence assault, with priors, in Rockland Nov. 16, 2023, guilty; domestic violence assault, with priors, in Rockland Dec. 10, 2023, guilty; assault in Rockland Dec. 10, 2023, dismissed; assault and domestic violence criminal threatening, with priors, in Rockland Dec. 10, 2023, both guilty; violating condition of release, two counts, in Rockland Feb. 5, 2024, guilty; violating condition of release in Rockland Jan. 28, 2024, guilty.
Amy J. Carver, 31, of Thomaston, unlawful possession of drug in Rockland Oct. 19, 2022, $400 fine with the fine suspended, six months in jail; violating condition of release in Rockland June 14, 2023, 48 hours jail.
David C. Clough, 58, of Port Clyde, violating municipal shellfish ordinance in St. George Feb. 21, 2024, $100 fine.
Arlene A. Condon, 48, of Washington, domestic violence assault, two counts, in Washington July 5, 2024, both dismissed; criminal mischief in Washington July 5, 2024, dismissed; disorderly conduct, offensive words, gestures in Washington July 5, 2024, $150 fine.
John P. Conway, 57, of Thomaston, violating condition of release in Rockland March 6, 2024, $500 fine; attaching false plates in Rockland March 6, 2024, $150 fine all suspended.
Richard Curtis, 32, of Friendship, assault in Friendship July 30, 2022, dismissed.
William L. Deane Jr., 48, of Friendship, violating condition of release in Friendship Aug. 23, 2024, 48 hours jail.
Robert H. Doucette, 71, of Union, operating under the influence (alcohol), no test, and night hunting both in Union Oct. 16, 2023, both dismissed; driving to endanger in Union Oct. 16, 2023, $575 fine, license suspended 30 days; use of artificial light to illuminate wild animals in Union Oct. 16, 2023, $1,500 fine.
Jacob Ecker Sr., 50, of Cushing, violating condition of release in Rockport March 10, 2024, dismissed.
Nathan Edgcomb, 68, of Rockland, harassment in Rockland Oct. 15, 2023, $100 fine.
Brooke Fillmore, 2, of Rockland, domestic violence assault in Friendship Nov. 23, 2023, dismissed; disorderly conduct, offensive words, gestures in Friendship Nov. 23, 2023, $50 fine.
Thomas Gilliland, 62, of South Thomaston, operating after habitual offender revocation, with two priors, in Rockland Feb. 3, 2022, dismissed; operating after habitual offender revocation, with one prior, in Rockland Feb. 3, 2022, $1,000 fine.
Mathew Grierson, 35, of Waldoboro, theft by unauthorized taking or transfer in South Thomaston Jan. 5, 2023, restitution $974.72.
Katherine N. Hamel, 27, of Rockland, criminal mischief in Rockport Nov. 24, 2023, restitution of $1,640.
Michelle Heald, 46, of Rockland, theft by unauthorized use of property in Rockland March 21, 2024, dismissed; violating condition of release in Rockland March 22, 2024, guilty; operating after habitual offender revocation, with two priors, in Rockport April 1, 2024, dismissed; violating condition of release in Rockland April 1, 2024, 30 days in jail; operating after habitual offender revocation in Rockport April 1, 2024, $500 fine, 30 days in jail.
Darlene A. Hutchins, 56, of Washington, failing to notify of a motor vehicle accident in Rockland March 7, 2024, dismissed.
Zachary Jones, 30, of Vinalhaven, untagged lobster traps, Chapter 25, on Vinalhaven June 22, 2024, $500 fine.
Brandon E. Kavanagh, 39, of Warren, operating under the influence (alcohol) in Thomaston Jan. 11, 2023, $500 fine, license suspended 150 days; attaching false plates in Thomaston Jan. 11, 2023, dismissed.
Roman Mank, 42, of Waldoboro, violating municipal shellfish ordinance in Cushing July 11, 2024, $300 fine.
Chandler McGaw, 35, of Thomaston, operating under the influence (alcohol), no test, in Camden Feb. 28, 2023, dismissed; assault in Camden Feb. 28, 2023, $300 fine with the fine suspended; refusing to submit to arrest or detention, physical force in Camden Feb. 28, 2023, $300 fine with the fine suspended; driving to endanger in Camden Feb. 28, 2023, $575 fine, license suspended 30 days, registration suspended.
Devon McMahan, 38, of Rockland, criminal trespass in Rockport June 23, 2024, $250 fine.
Joan N. Merriam, 76, of Rockland, operating under the influence (alcohol) in Rockland March 14, 2024, $500 fine, license suspended 150 days.
Andrea L. Merrifield, 40, of Hope, violating condition of release in Union Dec. 18, 2022, $500 fine; violating condition of release in Hope Jan. 18, 2023, 24 hours in jail.
Kenneth Nguyen, 62, of Lincolnville, theft by unauthorized taking or transfer in Rockland Jan. 24, 2024, $250 fine, restitution $3.93; criminal trespass in Camden Jan. 25, 2024, dismissed.
Sonya Nichols, 42, of Vinalhaven, failing to make oral or written accident report on Vinalhaven Jan. 18, 2024, $350 fine; failing to notify of motor vehicle accident on Vinalhaven Jan. 18, 2024, $350 fine.
Zachari Ryan Pease, 35, of Warren, failing to report in Rockland April 1, 2021, 14 days in jail.
Ethan Reed, 25, of Friendship, operating under the influence (alcohol) in Rockland March 14, 2024, $500 fine, license suspended 150 days; attaching false plates in Rockland March 14, 2024, dismissed.
Samuel A. Richman, 44, of Lincolnville, violation of carrier license for pelagic etc. fish in Rockland June 19, 2024, $100 fine.
Joshua L. Ross, 37, of Thomaston, domestic violence aggravated assault in Thomaston March 24, 2024, dismissed; violating condition of release in Thomaston March 24, 2024, 90 days in jail; assault in Thomaston March 24, 2024, three years in jail with all but 90 days suspended, probation two years; violating condition of release in Rockland May 29, 2024, 90 days in jail.
Tyrus J. Seawell, 28, of Vinalhaven, failing to notify of motor vehicle accident on Vinalhaven June 19, 2024, $400 fine; failing to make oral or written accident report on Vinalhaven June 19, 2024, $400 fine with fine suspended.
David Sternberg, 62, of Thomaston, assault in Thomaston July 18, 2023, $300 fine; criminal trespass in Thomaston July 18, 2023, two days in jail; disorderly conduct, offensive words, gestures in Thomaston July 18, 2023, 90 days in jail with all but two days suspended, one-year administrative sentence release.
Dana M. Wentworth, 33, of Vinalhaven, theft by unauthorized taking or transfer in Thomaston Jan. 28, 2024, $250 fine.
These crystal structures were left in the article by mistake:
........
(1)
## CePm3Pr3S8 (PBE)

Data for a relaxed structure of CePm3Pr3S8.

```
CePm3Pr3S8
1.0
8.1193 0.0000 0.0000
-4.0597 7.0314 -0.0242
0.0000 -4.6648 6.6653
Ce Pm Pr S
1 3 3 8
Cartesian
0.0000 -2.3324 3.3327
4.0597 -2.3324 3.3327
2.0298 1.1833 3.3205
-2.0298 1.1833 3.3206
0.0000 0.0000 0.0000
-2.0298 3.5157 -0.0121
2.0298 3.5157 -0.0121
0.0000 2.3497 1.6947
4.0597 0.0170 4.9464
4.0596 2.3439 1.6924
0.0000 0.0227 4.9487
6.0847 -1.1633 1.7046
-2.0250 3.5299 4.9365
2.0346 -1.1633 1.7046
2.0250 3.5299 4.9364
```

Results
raw formation energy = -2.026 eV/atom
total DFT energy (no corrections) = -6.5290 eV per atom
space group = R-3m (166)



(2)
## CePm2Pr3S6 (PBE)

Data for a relaxed structure of CePm2Pr3S6.

```
CePm2Pr3S6
1.0
7.0434 -0.0070 -0.0024
-3.5261 6.0973 -0.0024
-1.1755 -2.0354 6.6529
Ce Pm Pr S
1 2 3 6
Cartesian
0.0000 0.0000 0.0000
-0.0077 4.0653 -0.0024
3.5251 2.0250 -0.0024
-2.3289 4.0487 3.3241
4.6708 0.0061 3.3241
1.1709 2.0274 3.3241
3.5114 2.0332 5.0345
2.3486 4.0666 1.6221
-1.1696 2.0216 1.6137
0.0063 4.0576 5.0345
-0.0067 -0.0117 5.0261
2.3356 -0.0027 1.6137
```

Results
raw formation energy = -2.035 eV/atom
total DFT energy (no corrections) = -6.5799 eV per atom
space group = C2/m (12)



(3)
## Ce3PmPr4S8 (PBE)

Data for a relaxed structure of Ce3PmPr4S8.

```
Ce3PmPr4S8
1.0
8.1346 0.0000 0.0000
0.0000 8.1332 -0.0049
-4.0673 -4.0624 5.7540
Ce Pm Pr S
3 1 4 8
Cartesian
4.0673 4.0666 -0.0025
2.0336 2.0354 2.8745
-2.0336 2.0354 2.8745
0.0000 4.0666 -0.0025
4.0673 0.0000 0.0000
2.0336 -2.0312 2.8770
0.0000 0.0000 0.0000
-2.0336 -2.0312 2.8770
-2.0317 2.0019 5.7232
0.0000 4.0303 2.8496
0.0000 0.0368 2.8998
2.0317 2.0019 5.7232
2.0356 2.0689 0.0258
4.0673 4.0340 2.8493
4.0673 0.0406 2.8995
6.0990 2.0689 0.0258
```

Results
raw formation energy = -2.036 eV/atom
total DFT energy (no corrections) = -6.7041 eV per atom
space group = R-3m (166)



(4)
## CePm2PrS4 (PBE)

Data for a relaxed structure of CePm2PrS4.

```
CePm2PrS4
1.0
-0.9422 -2.2830 3.1930
5.9326 -3.6486 -0.8582
1.2202 5.4557 4.2609
Ce Pm Pr S
1 2 1 4
Cartesian
2.4952 -2.9658 1.1674
0.1390 1.5863 3.7270
3.5764 0.9036 1.7014
0.0000 0.0000 0.0000
1.3487 -0.6850 2.4599
4.8619 0.2091 4.1359
2.4103 3.1615 2.9717
4.7425 -1.3543 0.4310
```

Results
raw formation energy = -2.037 eV/atom
total DFT energy (no corrections) = -6.6278 eV per atom
space group = P2/m (10)



(5)
## Ce3Pm2PrS6 (PBE)

Data for a relaxed structure of Ce3Pm2PrS6.

```
Ce3Pm2PrS6
1.0
-3.3801 -2.0999 5.7626
5.8007 -3.3328 -2.0702
2.8561 5.9287 2.4144
Ce Pm Pr S
3 2 1 6
Cartesian
5.7093 -0.1644 0.4334
-0.4326 0.6604 5.6734
2.6384 0.2480 3.0534
2.7412 -2.9220 0.5400
-0.3206 -2.5108 3.1523
0.0000 0.0000 0.0000
2.3997 0.5797 5.8843
2.5247 -2.5699 3.3637
2.8770 -0.0837 0.2225
5.4908 0.1646 3.2471
2.7520 3.0658 2.7431
-0.2141 0.3314 2.8597
```

Results
raw formation energy = -2.041 eV/atom
total DFT energy (no corrections) = -6.7786 eV per atom
space group = C2/m (12)



(6)
## Ce2Pm3PrS6 (PBE)
........
Donovan I. Williamson, 26, of Rockport, disorderly conduct, offensive words, gestures in Rockland June 25, 2024, dismissed; disorderly conduct, loud unreasonable noise in Rockland June 25, 2024, seven days in jail.
........
The following is a DFT calculation (PBE+U) of a geometry-optimized NaP2WO8 structure.

Unit cell a=5.5192 b=5.5192 c=5.5192 alpha=105.71 beta=105.71 gamma=117.28
Positions (direct):
1 Na 0.0000 0.0000 0.0000
2 P 0.5000 0.5000 0.0000
3 P 0.7500 0.2500 0.5000
4 W 0.2500 0.7500 0.5000
5 O 0.3418 0.1529 0.8111
6 O 0.3418 0.5306 0.1889
7 O 0.3961 0.0685 0.3276
8 O 0.4694 0.6582 0.8111
9 O 0.7409 0.0685 0.6724
10 O 0.8471 0.6582 0.1889
11 O 0.9315 0.2591 0.3276
12 O 0.9315 0.6039 0.6724

## Properties
total moment	1.0	μB/cell
final energy	-83.48	eV per cell

=====

Entry 1:
This record from Alexandria via LeMat-Bulk describes a relaxed structure of HoGa3NiIr. The functional is PBE.

Results
total magnetization = 0.0 μB per formula unit
energy relative to the elements = -407 meV per atom

Cell lengths 7.8884, 10.5374, 5.4091 Å; angles 90.00, 90.00, 90.00 degrees
Last column: nearest neighbours and their distance in Å.
Space group Cmcm (No. 63)
Asymmetric unit:
Ho 0.0000 0.2018 0.2500 [4 per cell]  1 Ni 2.68, 2 Ir 2.95, 2 Ga 2.99
Ga 0.0000 0.3220 0.7500 [4 per cell]  1 Ni 2.33, 1 Ir 2.45
Ga 0.2501 0.0000 0.0000 [8 per cell]  2 Ni 2.43, 2 Ir 2.57, 2 Ga 2.70
Ni 0.0000 0.4566 0.2500 [4 per cell]  5 Ga 2.33-2.43
Ir 0.0000 0.0892 0.7500 [4 per cell]  5 Ga 2.45-2.57

Entry 2:
This record from Alexandria via LeMat-Bulk describes a relaxed structure of Rb2CaBr. The functional is PBE.

Results
total magnetization = 0.0 μB per formula unit
ΔE to the lowest computed polymorph = 0 meV/atom
formation energy from raw total energies = -0.646 eV per atom

Cell lengths 4.4172, 4.4172, 38.2891 Å; angles 90.00, 90.00, 120.00 degrees
Last column: nearest neighbours and their distance in Å.
Space group R-3m (No. 166, hexagonal axes)
Asymmetric unit:
Rb 0.0000 0.0000 0.1076 [6 per cell]  3 Br 3.41
Ca 0.0000 0.0000 0.0000 [3 per cell]  2 Rb 4.12, 6 Ca 4.42
Br 0.0000 0.0000 0.5000 [3 per cell]  6 Rb 3.41

Entry 3:
This record from Alexandria via LeMat-Bulk describes a relaxed structure of Tb4YTm3. The functional is PBE.

Results
total magnetization = 0.0 μB per formula unit
ΔE to the lowest computed polymorph = 0 meV/atom
energy relative to the elements = 6 meV per atom

Cell lengths 11.2032, 7.2361, 6.2593 Å; angles 90.00, 90.00, 90.00 degrees
Last column: nearest neighbours and their distance in Å.
Space group Pmn2_1 (No. 31)
Asymmetric unit:
Tb 0.0000 0.1264 0.0000 [2 per cell]  6 Tb 3.48-3.64, 4 Tm 3.49-3.63, 2 Y 3.60-3.64
Tb 0.0000 0.8735 0.5033 [2 per cell]  6 Tb 3.49-3.64, 4 Tm 3.49-3.64, 2 Y 3.61-3.62
Tb 0.2482 0.1260 0.3345 [4 per cell]  6 Tb 3.48-3.62, 5 Tm 3.48-3.63, 1 Y 3.51
Y 0.0000 0.6239 0.0029 [2 per cell]  6 Tm 3.49-3.61, 6 Tb 3.51-3.64
Tm 0.0000 0.3766 0.5024 [2 per cell]  6 Tb 3.48-3.64, 4 Tm 3.48-3.49, 2 Y 3.60-3.61
Tm 0.2500 0.3762 0.8361 [4 per cell]  4 Tm 3.48-3.61, 2 Y 3.49, 6 Tb 3.49-3.63

Entry 4:
This record from Alexandria via LeMat-Bulk describes a relaxed structure of PBrO. The functional is PBE.

Results
........
Raymond P. Wright, 60, of Union, assault in Union Jan. 4, 2024, $300 fine, 14 days in jail.
Reach Sarah Shepherd at